Quote all of the entries further below without altering anything.

+++
The following is a calculated powder diffraction line list of CoP. It was derived from a structure optimized by DFT (GGA-PBE), using copper Kα.
Neutral-atom scattering factors, no anomalous dispersion.

Cell lengths 5.0446, 3.2582, 5.5440 Å; angles 90.00, 90.00, 90.00 degrees
Space group Pnma (No. 62)
Symmetry-distinct sites (fractional):
Co: 0.0006 0.2500 0.1974 (multiplicity 4)
P: 0.1915 0.2500 0.5816 (multiplicity 4)

Principal peaks in the range 2θ = 10–90°, by angle:
hkl, two_theta, d/Å, I (rel.)
0 1 1, 31.86, 2.809, 68
1 1 1, 36.62, 2.454, 29
1 1 2, 46.64, 1.948, 52
2 1 1, 48.51, 1.877, 100
2 0 2, 48.82, 1.866, 37
0 1 3, 57.30, 1.608, 36



The following is a calculated powder diffraction line list of CoP2. It was derived from a structure optimized by DFT (GGA-PBE), using copper Kα.
Neutral-atom scattering factors, no anomalous dispersion.

Cell lengths 5.5325, 5.5250, 5.5998 Å; angles 90.00, 114.74, 90.00 degrees
Space group P2_1/c (No. 14)
Symmetry-distinct sites (fractional):
Co: 0.2281 0.0012 0.2126 (multiplicity 4)
P: 0.1608 0.1295 0.8185 (multiplicity 4)
P: 0.3424 0.6277 0.1329 (multiplicity 4)

Principal peaks in the range 2θ = 10–90°, by angle:
hkl, two_theta, d/Å, I (rel.)
1 1 -1, 24.91, 3.574, 100
0 2 0, 32.41, 2.762, 45
0 0 2, 35.29, 2.543, 62
2 0 0, 35.74, 2.512, 70
1 2 -1, 37.80, 2.380, 49
3 1 -1, 52.54, 1.742, 47



The following is a calculated powder diffraction line list of CoPPd. It was derived from a structure optimized by DFT (GGA-PBE), using copper Kα.
Neutral-atom scattering factors, no anomalous dispersion.

Cell lengths 3.5979, 3.5979, 5.8468 Å; angles 90.00, 90.00, 90.00 degrees
Space group P4/nmm (No. 129, origin choice 2)
Symmetry-distinct sites (fractional):
Co: 0.2500 0.7500 0.0000 (multiplicity 2)
P: 0.2500 0.2500 0.2211 (multiplicity 2)
Pd: 0.2500 0.2500 0.6208 (multiplicity 2)

Principal peaks in the range 2θ = 10–90°, by angle:
hkl, two_theta, d/Å, I (rel.)
1 0 1, 29.14, 3.064, 22
1 1 1, 38.59, 2.333, 100
1 0 2, 39.73, 2.269, 71
2 0 0, 50.75, 1.799, 48
1 0 3, 53.47, 1.714, 24
2 1 2, 66.31, 1.410, 30



The following is a calculated powder diffraction line list of Zr4CoP2Pd. It was derived from a structure optimized by DFT (GGA-PBE), using copper Kα.
Neutral-atom scattering factors, no anomalous dispersion.

Cell lengths 5.3177, 3.7064, 7.5708 Å; angles 90.00, 110.26, 90.00 degrees
Space group Pm (No. 6)
Symmetry-distinct sites (fractional):
Zr: 0.0000 0.0000 0.0000 (multiplicity 1)
Zr: 0.0562 0.5000 0.6213 (multiplicity 1)
Zr: 0.4918 0.0000 0.4763 (multiplicity 1)
Zr: 0.5604 0.5000 0.1439 (multiplicity 1)
Co: 0.1292 0.5000 0.2626 (multiplicity 1)
P: 0.6557 0.5000 0.7597 (multiplicity 1)
P: 0.9227 0.0000 0.3470 (multiplicity 1)
Pd: 0.4167 0.0000 0.8507 (multiplicity 1)

Principal peaks in the range 2θ = 10–90°, by angle:
hkl, two_theta, d/Å, I (rel.)
0 1 2, 35.01, 2.563, 100
2 0 0, 35.97, 2.497, 40
2 0 -2, 36.13, 2.486, 23
1 1 -3, 43.71, 2.071, 45
2 1 -2, 43.85, 2.064, 26
1 0 3, 47.90, 1.899, 22



The following is a calculated powder diffraction line list of PrCo8P5. It was derived from a structure optimized by DFT (GGA-PBE), using copper Kα.
Neutral-atom scattering factors, no anomalous dispersion.

Cell lengths 3.5469, 10.4238, 9.2412 Å; angles 90.00, 90.00, 90.00 degrees
Space group Pmmn (No. 59, origin choice 2)
Symmetry-distinct sites (fractional):
Pr: 0.2500 0.2500 0.1771 (multiplicity 2)
Co: 0.2500 0.0039 0.8895 (multiplicity 4)
Co: 0.2500 0.0830 0.4789 (multiplicity 4)
Co: 0.2500 0.2500 0.8487 (multiplicity 2)
Co: 0.2500 0.6077 0.3027 (multiplicity 4)
Co: 0.2500 0.7500 0.5461 (multiplicity 2)
P: 0.2500 0.2500 0.6147 (multiplicity 2)
P: 0.2500 0.5574 0.6611 (multiplicity 4)
P: 0.2500 0.6306 0.0672 (multiplicity 4)

Principal peaks in the range 2θ = 10–90°, by angle:
hkl, two_theta, d/Å, I (rel.)
1 3 0, 36.25, 2.478, 94
1 3 1, 37.52, 2.397, 50
1 1 3, 39.71, 2.270, 78
1 3 2, 41.29, 2.187, 100
2 0 0, 51.53, 1.773, 60
0 6 0, 52.73, 1.736, 35
+++

The following is a calculated powder diffraction line list of CoP. It was derived from a structure optimized by DFT (GGA-PBE), using copper Kα.
Neutral-atom scattering factors, no anomalous dispersion.

Cell lengths 5.0446, 3.2582, 5.5440 Å; angles 90.00, 90.00, 90.00 degrees
Space group Pnma (No. 62)
Symmetry-distinct sites (fractional):
Co: 0.0006 0.2500 0.1974 (multiplicity 4)
P: 0.1915 0.2500 0.5816 (multiplicity 4)

Principal peaks in the range 2θ = 10–90°, by angle:
hkl, two_theta, d/Å, I (rel.)
0 1 1, 31.86, 2.809, 68
1 1 1, 36.62, 2.454, 29
1 1 2, 46.64, 1.948, 52
2 1 1, 48.51, 1.877, 100
2 0 2, 48.82, 1.866, 37
0 1 3, 57.30, 1.608, 36



The following is a calculated powder diffraction line list of CoP2. It was derived from a structure optimized by DFT (GGA-PBE), using copper Kα.
Neutral-atom scattering factors, no anomalous dispersion.

Cell lengths 5.5325, 5.5250, 5.5998 Å; angles 90.00, 114.74, 90.00 degrees
Space group P2_1/c (No. 14)
Symmetry-distinct sites (fractional):
Co: 0.2281 0.0012 0.2126 (multiplicity 4)
P: 0.1608 0.1295 0.8185 (multiplicity 4)
P: 0.3424 0.6277 0.1329 (multiplicity 4)

Principal peaks in the range 2θ = 10–90°, by angle:
hkl, two_theta, d/Å, I (rel.)
1 1 -1, 24.91, 3.574, 100
0 2 0, 32.41, 2.762, 45
0 0 2, 35.29, 2.543, 62
2 0 0, 35.74, 2.512, 70
1 2 -1, 37.80, 2.380, 49
3 1 -1, 52.54, 1.742, 47



The following is a calculated powder diffraction line list of CoPPd. It was derived from a structure optimized by DFT (GGA-PBE), using copper Kα.
Neutral-atom scattering factors, no anomalous dispersion.

Cell lengths 3.5979, 3.5979, 5.8468 Å; angles 90.00, 90.00, 90.00 degrees
Space group P4/nmm (No. 129, origin choice 2)
Symmetry-distinct sites (fractional):
Co: 0.2500 0.7500 0.0000 (multiplicity 2)
P: 0.2500 0.2500 0.2211 (multiplicity 2)
Pd: 0.2500 0.2500 0.6208 (multiplicity 2)

Principal peaks in the range 2θ = 10–90°, by angle:
hkl, two_theta, d/Å, I (rel.)
1 0 1, 29.14, 3.064, 22
1 1 1, 38.59, 2.333, 100
1 0 2, 39.73, 2.269, 71
2 0 0, 50.75, 1.799, 48
1 0 3, 53.47, 1.714, 24
2 1 2, 66.31, 1.410, 30



The following is a calculated powder diffraction line list of Zr4CoP2Pd. It was derived from a structure optimized by DFT (GGA-PBE), using copper Kα.
Neutral-atom scattering factors, no anomalous dispersion.

Cell lengths 5.3177, 3.7064, 7.5708 Å; angles 90.00, 110.26, 90.00 degrees
Space group Pm (No. 6)
Symmetry-distinct sites (fractional):
Zr: 0.0000 0.0000 0.0000 (multiplicity 1)
Zr: 0.0562 0.5000 0.6213 (multiplicity 1)
Zr: 0.4918 0.0000 0.4763 (multiplicity 1)
Zr: 0.5604 0.5000 0.1439 (multiplicity 1)
Co: 0.1292 0.5000 0.2626 (multiplicity 1)
P: 0.6557 0.5000 0.7597 (multiplicity 1)
P: 0.9227 0.0000 0.3470 (multiplicity 1)
Pd: 0.4167 0.0000 0.8507 (multiplicity 1)

Principal peaks in the range 2θ = 10–90°, by angle:
hkl, two_theta, d/Å, I (rel.)
0 1 2, 35.01, 2.563, 100
2 0 0, 35.97, 2.497, 40
2 0 -2, 36.13, 2.486, 23
1 1 -3, 43.71, 2.071, 45
2 1 -2, 43.85, 2.064, 26
1 0 3, 47.90, 1.899, 22



The following is a calculated powder diffraction line list of PrCo8P5. It was derived from a structure optimized by DFT (GGA-PBE), using copper Kα.
Neutral-atom scattering factors, no anomalous dispersion.

Cell lengths 3.5469, 10.4238, 9.2412 Å; angles 90.00, 90.00, 90.00 degrees
Space group Pmmn (No. 59, origin choice 2)
Symmetry-distinct sites (fractional):
Pr: 0.2500 0.2500 0.1771 (multiplicity 2)
Co: 0.2500 0.0039 0.8895 (multiplicity 4)
Co: 0.2500 0.0830 0.4789 (multiplicity 4)
Co: 0.2500 0.2500 0.8487 (multiplicity 2)
Co: 0.2500 0.6077 0.3027 (multiplicity 4)
Co: 0.2500 0.7500 0.5461 (multiplicity 2)
P: 0.2500 0.2500 0.6147 (multiplicity 2)
P: 0.2500 0.5574 0.6611 (multiplicity 4)
P: 0.2500 0.6306 0.0672 (multiplicity 4)

Principal peaks in the range 2θ = 10–90°, by angle:
hkl, two_theta, d/Å, I (rel.)
1 3 0, 36.25, 2.478, 94
1 3 1, 37.52, 2.397, 50
1 1 3, 39.71, 2.270, 78
1 3 2, 41.29, 2.187, 100
2 0 0, 51.53, 1.773, 60
0 6 0, 52.73, 1.736, 35